Whole Life, Whole Bible: Journey through ScriptureNäide

6: How could they?
However we interpret the first three chapters of Genesis, they are fundamental to an understanding of our faith, the shaping of our worldview, and our lives as disciples of Christ.
The core sin of Adam and Eve was their disobedience to God’s explicit command, ‘You must not eat from the tree…’ (Genesis 2:17). It was a transgression (the crossing of a forbidden frontier) and thus, inevitably, a revolt against God. The prohibition represented a limitation on the behaviour of the man and the woman, who were otherwise given extra-ordinary freedom to explore and harness God’s creation; and it was an assertion, in the exercise of that freedom, of the ultimate authority of God.
There’s a widespread belief outside the church that Christianity is a highly negative religion — with our freedom being curtailed at every turn by a ‘thou shalt not’. But, perhaps surprisingly, negative commands give more freedom than positive ones. Thus, rather than giving Adam and Eve handbooks on rearing cattle or pruning trees or making love (‘Now this is exactly what to do’), God gave them the liberty to find out for themselves how to do things, and the joy of making their own discoveries.
This included, of course, the liberty to make mistakes. The transgression, however, was more than a mistake: they could hardly have turned to the Lord and said, ‘Oh, so sorry, we forgot.’ They thought they knew better than God and made a conscious choice to go against his clear will.
Calculated crystals, as found in the file >
(1)
A geometry-optimized SrLaSb2 structure, computed with GGA-PBE.

Summary:
DFT total energy (eV per cell): -18.75
Space group: Pmmm, No. 47
Uncorrected formation energy (eV/f.u.): -3.90

a b c (Å): 4.6597 4.6970 6.6243
angles (deg): 90.00 90.00 90.00
Sites, in units of the cell vectors:
Sb: 0.0000 0.0000 0.8748
Sb: 0.5000 0.5000 0.3753
La: 0.5000 0.5000 0.8752
Sr: 0.0000 0.0000 0.3748

(2)
A geometry-optimized SrLaSb2 structure, computed with GGA-PBE.

Summary:
DFT total energy (eV per cell): -15.74
Space group: P4mm, No. 99
Uncorrected formation energy (eV/f.u.): -0.88

a b c (Å): 3.6128 3.6128 11.0848
angles (deg): 90.00 90.00 90.00
Sites, in units of the cell vectors:
La: 0.5000 0.5000 0.7948
Sr: 0.0000 0.0000 0.4630
Sb: 0.5000 0.5000 0.2605
Sb: 0.0000 0.0000 0.9817

(3)
A geometry-optimized SrLaSb2 structure, computed with GGA-PBE.

Summary:
DFT total energy (eV per cell): -36.32
Space group: I-42d, No. 122
Uncorrected formation energy (eV/f.u.): -3.31

a b c (Å): 8.6434 8.6434 7.1913
angles (deg): 53.06 53.06 90.00
Sites, in units of the cell vectors:
Sb: 0.8750 0.8808 0.7500
Sb: 0.3750 0.3692 0.7500
Sb: 0.1192 0.6250 0.2500
Sr: 0.5000 0.5000 0.0000
La: 0.7500 0.2500 0.5000
Sb: 0.6308 0.1250 0.2500
La: 0.0000 0.0000 0.0000
Sr: 0.2500 0.7500 0.5000

(4)
A geometry-optimized SrLa5Sb6 structure, computed with GGA-PBE.

Summary:
DFT total energy (eV per cell): -65.34
Space group: C2/m, No. 12
Uncorrected formation energy (eV/f.u.): -14.29

a b c (Å): 8.0512 8.0512 8.0548
angles (deg): 99.59 99.59 120.06
Sites, in units of the cell vectors:
Sb: 0.9151 0.5745 0.7461
La: 0.3327 0.6673 0.0000
Sb: 0.2565 0.2565 0.7471
Sr: 0.0000 0.0000 0.0000
La: 0.1645 0.8355 0.5000
Sb: 0.0849 0.4255 0.2539
Sb: 0.7435 0.7435 0.2529
La: 0.8355 0.1645 0.5000
La: 0.5000 0.5000 0.5000
Sb: 0.5745 0.9151 0.7461
Sb: 0.4255 0.0849 0.2539
La: 0.6673 0.3327 0.0000

(5)
A geometry-optimized SrLaSb structure, computed with GGA-PBE.

Summary:
DFT total energy (eV per cell): -12.70
Space group: I4mm, No. 107
Uncorrected formation energy (eV/f.u.): -1.96

a b c (Å): 7.5824 7.5826 4.0840
angles (deg): 74.37 74.37 31.25
Sites, in units of the cell vectors:
Sr: 0.3026 0.3025 0.6974
Sb: 0.6537 0.6536 0.3463
La: 0.0437 0.0439 0.9563

(6)
A geometry-optimized SrLa4Sb structure, computed with GGA-PBE.

Summary:
DFT total energy (eV per cell): -25.13
Space group: F-43m, No. 216
Uncorrected formation energy (eV/f.u.): 0.39

a b c (Å): 6.7470 6.7470 6.7470
angles (deg): 60.00 60.00 60.00
Sites, in units of the cell vectors:
La: 0.3751 0.3751 0.8747
Sr: 0.0000 0.0000 0.0000
La: 0.3751 0.3751 0.3751
La: 0.3751 0.8747 0.3751
Sb: 0.7500 0.7500 0.7500
La: 0.8747 0.3751 0.3751

(7)
A geometry-optimized SrLa3Sb structure, computed with GGA-PBE.

Summary:
DFT total energy (eV per cell): -17.17
Space group: Pm-3m, No. 221
Uncorrected formation energy (eV/f.u.): 3.42

a b c (Å): 5.7592 5.7592 5.7592
angles (deg): 90.00 90.00 90.00
Sites, in units of the cell vectors:
La: 0.0000 0.0000 0.5000
It seems almost incredible that Adam and Eve, living among the lavish gifts of the creation (yet to be explored), their wills not yet corrupted by sin, should have succumbed to the seductions of one of the very creatures over whom they had been given dominion. But succumb they did — and that ‘original sin’, committed by the parents of the human race, was passed on, like a hereditary disease, throughout that race. Humanity, as Psalm 51 reminds us, has borne its stain ever since: ‘sinful from the time my mother conceived me’ (Psalm 51:5).
== Data records, as found in the file ==
........
NaFeBr2F | PBE with a Hubbard U | relaxed

a b c (Å): 5.388 5.388 3.976
angles (deg): 90.00 90.00 90.00
Element x y z (fractional)
Na 0.000 0.000 0.000
Fe 0.500 0.500 0.500
Br 0.000 0.500 0.500
Br 0.500 0.000 0.500
F 0.500 0.500 0.000

Values from the calculation:
- DOS at the Fermi energy (states/eV/cell) = 0.00
- magnetic moment (μB/cell) = 4.00
- space group = No. 123
- raw total energy (eV per atom) = -3.9587

----------

Record 1
Here is a relaxed structure of CuSb2Te from the Open Quantum Materials Database. Energies are from PBE.

Unit cell a=6.814 b=6.814 c=9.011 alpha=113.81 beta=113.81 gamma=36.56
Fractional positions:
Cu (0.315, 0.670, 0.352)
Cu (0.330, 0.685, 0.648)
Sb (0.453, 0.120, 0.165)
Sb (0.975, 0.642, 0.403)
Sb (0.358, 0.025, 0.597)
Sb (0.880, 0.547, 0.835)
Te (0.836, 0.208, 0.211)
Te (0.792, 0.164, 0.789)

## Properties
The total energy is -3.698 eV/atom. The crystal system is monoclinic.

=====

Record 2
Here is a relaxed structure of NdCl2 from the Open Quantum Materials Database. Energies are from PBE.

Unit cell a=8.781 b=8.781 c=8.781 alpha=60.00 beta=60.00 gamma=60.00
Fractional positions:
Cl (0.625, 0.125, 0.125)
Cl (0.125, 0.625, 0.125)
Cl (0.125, 0.125, 0.125)
Cl (0.125, 0.125, 0.625)
Nd (0.000, 0.000, 0.000)
Nd (0.250, 0.250, 0.250)

## Properties
The total energy is -4.356 eV/atom. The crystal system is cubic.

=====

Record 3
Here is a relaxed structure of Li4TcOsO6 from the Open Quantum Materials Database. Energies are from PBE.

Unit cell a=4.930 b=4.930 c=5.182 alpha=99.79 beta=99.79 gamma=117.36
Fractional positions:
Li (0.499, 0.501, 0.000)
Li (0.998, 0.002, 0.500)
Li (0.667, 0.333, 0.500)
Li (0.334, 0.666, 0.500)
O (0.918, 0.570, 0.228)
O (0.571, 0.916, 0.230)
O (0.258, 0.258, 0.266)
O (0.742, 0.742, 0.734)
O (0.084, 0.429, 0.770)
O (0.430, 0.082, 0.772)
Os (0.851, 0.149, 0.000)
Tc (0.148, 0.852, 0.000)

## Properties
The total energy is -6.517 eV/atom. The crystal system is monoclinic.

=====

Record 4
Here is a relaxed structure of TbPd from the Open Quantum Materials Database. Energies are from PBE.

Unit cell a=4.074 b=4.074 c=4.074 alpha=60.00 beta=60.00 gamma=60.00
Fractional positions:
Pd (0.000, 0.000, 0.000)
Tb (0.500, 0.500, 0.500)

## Properties
The total energy is -5.644 eV/atom. The crystal system is cubic. For the formation enthalpy at 0 K, the calculation gives -741.8 meV per atom.

=====

Record 5
Here is a relaxed structure of Zr2Co3Mo4C3 from the Open Quantum Materials Database. Energies are from PBE.

Unit cell a=5.278 b=5.278 c=13.396 alpha=101.84 beta=101.84 gamma=59.92
Fractional positions:
C (0.500, 0.000, 0.000)
C (0.172, 0.664, 0.000)
C (0.336, 0.828, 0.500)
C (0.000, 0.500, 0.500)
C (0.664, 0.172, 0.500)
C (0.828, 0.336, 0.000)
Co (0.099, 0.413, 0.249)
Co (0.076, 0.924, 0.250)
Co (0.587, 0.901, 0.251)
Co (0.413, 0.099, 0.749)
Co (0.924, 0.076, 0.750)
Co (0.901, 0.587, 0.751)
Mo (0.855, 0.695, 0.086)
Mo (0.204, 0.020, 0.087)
Mo (0.980, 0.796, 0.413)
Mo (0.305, 0.145, 0.414)
........
And yet, as crucial as this chapter is for the unfolding of the plot that follows, the great story of the Bible doesn’t begin or end here. It begins with an unspoiled creation and ends, by way of the resurrection, with a restored new creation — with the nations walking in the light of God’s glory (Revelation 21:24).
For further reflection and action
- The serpent tempted Adam and Eve through their God-given faculties of taste, sight and aspiration. In what areas of life, and by what means, are you most vulnerable to temptation?
- Read Romans 5:12–21, noting how the biblical story of sin and salvation underlines Paul’s contrast between Adam and Christ.
- How far does it matter to you whether there was a real Adam and Eve, actual trees with fruit, and a talking snake, and how far are you happy to accept them as ‘word pictures’ to describe deeper realities of human experience of temptation, failure and a sense of shame and guilt? Why do you hold the opinion you do?
About this Plan

This 50-day reading plan walks you through the story of the whole Bible, and helps you reflect on how it shapes your whole life – at home, at work, in the neighbourhood. The bite-size readings and real-life application questions help illuminate God’s plan to renew all areas of life. Written by Antony Billington, Helen Parry, and Margaret Killingray, from the London Institute for Contemporary Christianity (LICC). Originally published by BRF.